A Swift implementation of an international email address syntax validator based on RFC822, RFC2047, RFC5321, RFC5322, and RFC6531. Since email addresses are local @ remote the validator also includes IPAddressSyntaxValidator and the SwiftPublicSuffixList library.
This Swift Package does not require an Internet connection at runtime and the only dependency is the SwiftPublicSuffixList library.
You can use The Swift Package Manager to install SwiftEmailValidator by adding it to your Package.swift file:
import PackageDescription
let package = Package(
name: "MyApp",
targets: [],
dependencies: [
.Package(url: "https://github.com/ekscrypto/SwiftEmailValidator.git", .upToNextMajor(from: "1.0.2"))
By default, domains are validated against the Public Suffix List using the SwiftPublicSuffixList library.
- Due to the high number of entries in the Public Suffix list (>9k), the first validation may add 100ms to 900ms depending on the device you are using. If this is unacceptable you can pre-load on a background thread PublicSuffixRulesRegistry.rules prior to using EmailSyntaxValidator.
- The Public Suffix List is updated regularly. If your application is published regularly you may be fine by simply pulling the latest version of the SwiftPublicSuffixList library. However it is recommended to have your application retrieve the latest copy of the public suffix list on a somewhat regular basis. Details on how to accomplish this are available in the SwiftPublicSuffixList library page. You can then use the domainValidator parameter to specify the closure to use for the domain validation. See "Using Custom SwiftPublicSuffixList Rules" below.
- You can bypass the Public Suffix List altogether and use your own custom Regex if desired. See "Bypassing SwiftPublicSuffixList" below.
Simple use-cases:
if EmailSyntaxValidator.correctlyFormatted("[email protected]") {
print("[email protected] respects Email syntax rules")
if let mailboxInfo = EmailSyntaxValidator.mailbox(from: "[email protected]") {
// mailboxInfo.email == "[email protected]"
// mailboxInfo.localPart == .dotAtom("santa.claus")
// mailboxInfo.host == .domain("northpole.com")
if let mailboxInfo = EmailSyntaxValidator.mailbox(from: "\"Santa Claus\"@northpole.com") {
// mailboxInfo.email == "\"Santa Claus\"@northpole.com"
// mailboxInfo.localPart == .quotedString("Santa Claus")
// mailboxInfo.host == .domain("northpole.com"")
Allowing IPv4/IPv6 addresses
if EmailSyntaxValidator.correctlyFormatted("email@[]", allowAddressLiteral: true) {
print("email@[] also respects since address literals are allowed")
if let mailboxInfo = EmailSyntaxValidator.mailbox(from: "email@[IPv6:fe80::1]", allowAddressLiteral: true) {
// mailboxInfo.email == "email@[IPv6:fe80::1]"
// mailboxInfo.localPart == .dotAtom("email")
// mailboxInfo.host == .addressLiteral("IPv6:fe80::1")
Validating Unicode emails encoded into ASCII (RFC2047):
if let mailboxInfo = EmailSyntaxValidator.mailbox(from: "=?utf-8?B?7ZWcQHgu7ZWc6rWt?=", compatibility: .asciiWithUnicodeExtension) {
// mailboxInfo.email == "=?utf-8?B?7ZWcQHgu7ZWc6rWt?="
// mailboxInfo.localpart == .dotAtom("한")
// mailboxInfo.host == .domain("x.한국")
Validating Unicode emails with auto-RFC2047 encoding:
if let mailboxInfo = EmailSyntaxValidator.mailbox(from: "한@x.한국", options: [.autoEncodeToRfc2047], compatibility.asciiWithUnicodeExtension) {
// mailboxInfo.email == "=?utf-8?b?7ZWcQHgu7ZWc6rWt?="
// mailboxInfo.localpart == .dotAtom("한")
// mailboxInfo.host == .domain("x.한국")
Forcing ASCII-only compatibility:
if !EmailSyntaxValidator.correctlyFormatted("한@x.한국", compatibility: .ascii) {
// invalid email for ASCII-only support
[The entry is interrupted by materials data]
-- begin --
DFT (PBE) results for crystalline LiMg2Pd9 at its relaxed geometry.

Results
V	184.0	Å³/cell
space group	P4/mmm (123)
formation energy	-0.397	eV per atom
calculated total energy	-4.72	eV per atom

The structure in extended XYZ format:
```
12
Lattice="3.952 0.000 0.000 0.000 3.952 0.000 0.000 0.000 11.778" Properties=species:S:1:pos:R:3 pbc="T T T"
Li 0.000 0.000 0.000
Mg 0.000 0.000 3.895
Mg 0.000 0.000 7.883
Pd 0.000 1.976 1.911
Pd 0.000 1.976 5.889
Pd 0.000 1.976 9.867
Pd 1.976 0.000 1.911
Pd 1.976 0.000 5.889
Pd 1.976 0.000 9.867
Pd 1.976 1.976 0.000
Pd 1.976 1.976 3.892
Pd 1.976 1.976 7.886
```



DFT (PBE) results for crystalline Li3Mg6Pd at its relaxed geometry.

Results
V	409.0	Å³/cell
space group	P2_1/m (11)
formation energy	-0.149	eV per atom
calculated total energy	-2.20	eV per atom

The structure in extended XYZ format:
```
20
Lattice="11.032 0.000 0.000 0.000 3.069 0.000 -4.174 0.000 12.079" Properties=species:S:1:pos:R:3 pbc="T T T"
Li -1.539 0.767 4.700
Li -0.022 0.767 12.070
Li 2.706 0.767 7.148
Li 4.152 2.302 4.931
Li 6.880 2.302 0.009
Li 8.397 2.302 7.379
Mg 1.287 2.302 0.356
Mg -1.969 0.767 9.817
Mg -0.117 0.767 7.137
Mg 0.986 2.302 4.557
Mg 2.816 0.767 2.603
Mg 0.953 2.302 9.591
Mg 5.905 0.767 2.488
Mg 4.042 2.302 9.476
Mg 5.872 0.767 7.522
Mg 6.976 2.302 4.942
Mg 8.827 2.302 2.262
Mg 5.572 0.767 11.723
Pd 0.067 0.767 2.359
Pd 6.791 2.302 9.720
```



DFT (PBE) results for crystalline Li3Mg3Pd2 at its relaxed geometry.

Results
V	278.1	Å³/cell
space group	Cmcm (63)
formation energy	-0.339	eV per atom
calculated total energy	-2.95	eV per atom

The structure in extended XYZ format:
```
16
Lattice="2.222 -4.862 0.000 2.222 4.862 0.000 0.000 0.000 12.871" Properties=species:S:1:pos:R:3 pbc="T T T"
Li 2.222 4.259 7.696
Li 2.222 4.259 11.610
Li 2.222 2.418 9.653
Li 2.222 -2.418 3.218
Li 2.222 -4.259 1.260
Li 2.222 -4.259 5.175
Mg 2.222 1.469 6.887
Mg 2.222 1.469 12.420
Mg 2.222 0.343 3.218
Mg 2.222 -0.343 9.653
Mg 2.222 -1.469 0.451
Mg 2.222 -1.469 5.984
Pd 2.222 2.866 1.854
Pd 2.222 2.866 4.582
Pd 2.222 -2.866 8.289
Pd 2.222 -2.866 11.017
```



DFT (PBE) results for crystalline Li5MgPd4 at its relaxed geometry.

Results
V	143.8	Å³/cell
space group	C2/m (12)
formation energy	-0.438	eV per atom
calculated total energy	-3.63	eV per atom

The structure in extended XYZ format:
```
10
Lattice="6.448 -2.171 0.000 6.448 2.171 0.000 -1.460 0.000 5.136" Properties=species:S:1:pos:R:3 pbc="T T T"
Li 0.000 0.000 0.000
Li 2.206 0.000 1.575
Li 4.928 0.000 0.582
Li 6.509 0.000 4.554
Li 9.231 0.000 3.560
Mg -0.730 0.000 2.568
Pd 1.463 0.000 4.126
Pd 4.276 0.000 3.141
Pd 7.160 0.000 1.994
Pd 9.974 0.000 1.010
```



DFT (PBE) results for crystalline LiMgPd at its relaxed geometry.

Results
V	96.1	Å³/cell
space group	P-1 (2)
formation energy	-0.480	eV per atom
calculated total energy	-3.38	eV per atom

The structure in extended XYZ format:
```
6
-- stop --
[So much for the materials data]
if EmailSyntaxValidator.correctlyFormatted("[email protected]", compatibility: .ascii) {
// Email is valid for ASCII-only systems
If you implement your own PublicSuffixList rules, or manage your own local copy of the rules as recommended:
let customRules: [[String]] = [["com"]]
if let mailboxInfo = EmailSyntaxValidator.mailbox(from: "[email protected]", domainValidator: { PublicSuffixList.isUnrestricted($0, rules: customRules)}) {
// mailboxInfo.localPart == .dotAtom("santa.claus")
// mailboxInfo.host == .domain("northpole.com")
The EmailSyntaxValidator functions all accept a domainValidator closure, which by default uses the SwiftPublicSuffixList library. This closure should return true if the domain should be considered valid, or false to be rejected.
if let mailboxInfo = EmailSyntaxValidator.mailbox(from: "santa.claus@Ho Ho Ho North Pole", domainValidator: { _ in true }) {
// mailboxInfo.localPart == .dotAtom("santa.claus")
// mailboxInfo.host == .domain("Ho Ho Ho North Pole")
if IPAddressSyntaxValidator.matchIPv6("::1") {
print("::1 is a valid IPv6 address")
if IPAddressSyntaxValidator.matchIPv4("") {
print(" is a valid IPv4 address")
if IPAddressSyntaxValidator.match("") {
print(" is a valid IP address")
if IPAddressSyntaxValidator.match("fe80::1") {
print("fe80::1 is a valid IP address")
Allows to decode ASCII-encoded Latin-1/Latin-2/Unicode email addresses from SMTP headers
// hé[email protected]
// 한@x.한국
RFC822 - STANDARD FOR THE FORMAT OF ARPA INTERNET TEXT MESSAGES https://datatracker.ietf.org/doc/html/rfc822
RFC2047 - MIME (Multipurpose Internet Mail Extensions) Part Three: Message Header Extensions for Non-ASCII Text https://datatracker.ietf.org/doc/html/rfc2047
RFC5321 - Simple Mail Transfer Protocol https://datatracker.ietf.org/doc/html/rfc5321
RFC5322 - Internet Message Format https://datatracker.ietf.org/doc/html/rfc5322
RFC6531 - SMTP Extension for Internationalized Email https://datatracker.ietf.org/doc/html/rfc6531